Your Leadership Toolbox: A Coaching Approach
June 14, 2021718 views0 comments
By Iffet Türken
How you can use tips from coaches to adapt to a world in flux.
Life is like riding a bicycle. To keep your balance, you must keep moving. – Albert Einstein
We need instant adaptability to the new skillsets in the unknown future of work. The Covid-19 pandemic is a prime example of how change is accelerating and requiring us to adapt instantly. We often hear about the skillsets we will need but not enough about how executives will adapt to them. A “coaching approach” can help managers and their teams keep up with our rapidly changing world.
In essence, a coaching approach is a reflective state requiring a certain level of knowledge, consciousness, awareness and motivation. Any manager willing to use this approach must be able to act as a catalyst in the personal development of another person. Naturally, I’m not suggesting that all managers become professional coaches but rather that they include a coaching approach in how they lead.
By 2025, analytical thinking, creativity and flexibility will be among the most sought-after skills. We will need to learn, unlearn, and learn and unlearn. Important future-focused skills like analytical thinking, active learning, complex problem-solving, critical thinking and creativity are concerned with the way humans think, learn, solve problems and innovate – the core competencies of coaching.
As the psychiatrist Milton Erickson said, “Every person has abilities not known to the self.” Coaches wield certain tools to partner with clients in a thought-provoking and creative process that inspires them to maximise their personal and professional potential. Some of these tools are:
- Listening deeply
- Asking powerful ques tions
(Quantum chemistry results, as found in the file)
~~~
C40H76BO36P4 | wB97M-V/def2-TZVPD

Atoms and positions in Å:
O: -0.1361 -2.6918 -1.5551
C: -0.1798 -1.8566 -0.6353
O: 0.0943 -0.6211 -0.7704
B: 0.1914 0.0454 0.5446
O: -0.2116 -1.0230 1.4944
C: -0.4708 -2.1504 0.7975
O: -0.6182 -3.2415 1.3287
O: -0.6207 1.2827 0.6517
C: 0.1624 2.2893 0.9794
O: -0.1597 3.4346 1.2732
C: 1.5912 1.8329 1.0862
O: 1.5717 0.4853 0.8620
O: 2.5371 2.5881 1.2182
C: 2.0074 1.8648 -2.2849
C: 2.2854 3.3671 -2.3115
O: 1.5097 4.0986 -3.3062
P: 0.1962 4.9549 -2.7095
O: -0.4122 5.8982 -3.7476
O: -0.7510 3.7314 -2.1844
C: -1.2932 2.7990 -3.1528
C: -2.5965 3.3834 -3.7603
O: 0.6655 5.6504 -1.3161
C: 1.3391 6.9155 -1.4088
C: 2.7370 6.6812 -1.8753
H: 2.6396 1.3006 -1.5993
H: 0.9909 1.6883 -1.9331
H: 2.0431 1.4286 -3.2832
H: 2.2425 3.8777 -1.3495
H: 3.3378 3.5369 -2.5387
H: -0.5213 2.6612 -3.9099
H: -1.4684 1.7986 -2.7571
H: -2.5359 4.2995 -4.3479
H: -3.0735 2.6891 -4.4521
H: -3.3911 3.5091 -3.0249
H: 0.8740 7.6355 -2.0821
H: 1.2810 7.3017 -0.3912
H: 3.2222 5.9471 -1.2320
H: 2.7724 6.2885 -2.8915
H: 3.4174 7.5325 -1.8970
C: -6.4453 -1.2303 7.9150
C: -5.6070 -1.3071 6.6023
O: -4.7798 -2.4322 6.5750
P: -3.6294 -2.6210 5.4193
O: -2.5208 -3.5432 5.8008
O: -3.1376 -1.0781 5.1752
C: -1.9989 -0.8413 4.3541
C: -0.6874 -0.8143 5.0855
O: -4.4918 -3.0311 4.1037
C: -4.9259 -4.3452 4.0213
C: -4.2604 -5.1777 2.9938
H: -6.9901 -0.3004 8.0784
H: -7.2394 -1.9769 7.9012
H: -5.7731 -1.3267 8.7675
H: -6.3005 -1.3496 5.7625
H: -4.9903 -0.4111 6.5322
H: -1.8501 -1.5568 3.5453
H: -2.1554 0.1451 3.9175
H: -0.4586 -1.7658 5.5656
H: 0.0272 -0.6193 4.2859
H: -0.6853 0.0214 5.7852
H: -5.0067 -4.8267 4.9958
H: -5.9863 -4.2831 3.7767
H: -4.2884 -4.7918 1.9748
H: -3.2571 -5.3317 3.3910
H: -4.8705 -6.0763 2.9020
C: -2.9791 -6.4810 -1.1319
C: -2.7791 -5.0013 -1.3300
O: -4.1145 -4.4124 -1.2016
P: -4.3211 -2.8826 -1.1686
O: -5.7187 -2.4110 -1.1713
O: -3.4641 -2.3807 -2.4022
C: -3.1463 -1.0656 -2.4954
C: -4.2971 -0.3784 -3.3856
O: -3.4154 -2.4690 0.1373
C: -4.0002 -1.9729 1.2855
C: -3.7973 -0.4073 1.3081
H: -3.6002 -6.7778 -0.2867
H: -3.4146 -6.8766 -2.0494
H: -1.9821 -6.9215 -1.1340
H: -2.0806 -4.5627 -0.6173
H: -2.2929 -4.8517 -2.2940
H: -2.9534 -0.6418 -1.5099
H: -2.1731 -0.9832 -2.9792
H: -5.2317 -0.2983 -2.8305
H: -4.0476 0.6713 -3.5411
H: -4.4398 -0.9290 -4.3154
H: -4.9994 -2.3413 1.5178
H: -3.3702 -2.3968 2.0675
H: -4.4708 0.1697 0.6744
H: -3.8753 -0.0656 2.3402
H: -2.8324 -0.0198 0.9812
C: 8.6784 1.5478 -3.0613
C: 8.8118 0.3136 -2.1134
O: 7.6631 -0.4711 -2.1943
P: 6.1373 -0.0048 -1.8893
O: 5.5368 0.9302 -2.8812
O: 5.3432 -1.4744 -1.7684
C: 4.0544 -1.6738 -1.1303
C: 4.2782 -1.7824 0.3702
O: 6.1966 0.5749 -0.3456
C: 5.2768 1.4684 0.1302
C: 5.5814 2.9960 -0.1934
H: 8.4377 1.2506 -4.0820
H: 7.8801 2.2610 -2.8565
H: 9.5184 2.2415 -3.0975
H: 9.6663 -0.2932 -2.4130
H: 8.9977 0.7183 -1.1185
H: 3.3939 -0.8501 -1.4012
H: 3.5793 -2.5668 -1.5364
H: 4.7703 -0.8490 0.6434
H: 3.3537 -1.6858 0.9396
H: 4.9148 -2.5991 0.7106
H: 4.2620 1.0995 -0.0187
H: 5.2723 1.3849 1.2170
~~~
(So much for the quantum chemistry results)
- Crafting a reflective space
- Focusing on human potential
Listening deeply
According to psychologist Carl Rogers, we all have a natural urge to judge, evaluate and approve (or disapprove) another person’s statements. However, we can achieve real communication and avoid this evaluative tendency when we listen with understanding. This means we attempt to see the expressed idea and attitude from the other person’s point of view and to sense how it feels to the person, through their personal frame of reference.
As a manager, do you sometimes feel that, when you’re talking with your colleagues, you’re planning your response before they’ve even finished their sentence? Then you might need the coaching approach. It is about taking a genuine interest in what the other person is saying. The ability to focus requires some training of the mind. Our awareness of another person’s mental state is related to how well we know our own mental state, as psychiatrist Daniel J. Siegel wrote. Deep listening is only possible with a reflective mindset, not an impulsive one. You certainly need to practise being there in the “now” by focusing on the other person. Yet, the pre-condition of being aware of others is to become aware of yourself. INSEAD Professor Manfred Kets de Vries repeatedly reminds his students of the engraving on the temple of Apollo in Delphi, “Know thyself”, to emphasise the value of self-awareness.
Asking powerful questions
Powerful questions are open-ended questions. When you ask a closed-ended question, like a yes or no query, you cut yourself and your interlocutor off from the opportunity of deep listening. Why are open-ended questions important? They can lead to discovery, insight or even a commitment that fuels further action. Managers must become accustomed to asking good open-ended questions. The practice naturally engages partnership.
This is especially true when responding with a “how” versus a “why” question. In virtual workplaces, such as during a Zoom meeting, more tolerance and sensitivity is necessary when posing questions. Consider the (closed-ended) question, “Did you reach your target?” If the answer is no, the next question is naturally “Why not?” Sitting on the Zoom with a bunch of colleagues will increase their anxiety and may be demotivating. Now, contrast this with “How can you reach your target?” or “From today forward, what can you do differently to experience more progress?” These questions inform, create awareness but also encourage the worker. They create space for learning.
The power of open-ended questions is that they generate more open-ended questions. In the workplace, this can create a ripple that can reach far into an organisation. Open-ended questions are credited with creating better team relationships, accelerating solutions and creating inclusiveness for high-performance management.
Powerful open-ended questions have the potential to enhance creativity and a reflective state of mind may open countless opportunities in this new world, especially in terms of innovation. It is no coincidence that the most innovative companies encourage questions.
Crafting the “coaching position” as a reflective space
The Covid-19 pandemic has been a powerful example of disruptive change; however there is much more to come. Just recently natural historian David Attenborough, called climate change “the biggest threat to security that modern humans have ever faced” during a UN Security Council meeting. In the world beyond the current pandemic, we might face larger scale disruptions that will further fuel uncertainty and require the use of new skillsets. It will be much more crucial for managers to be in a reflective state of mind than in an impulsive one. This will create space for focusing on the now and our long-term purpose. The ability to harness a reflective space is vital for leaders in uncertain times.
Feeling threatened overwhelms our perception. When we react to a situation, we revert to our primitive behaviour without flexibility or compassion. Without the learned behaviour that teaches us to stop and to reflect, we become unable to resist these influences that push us to live in an automated way.
The coaching position asks that we remain neutral and look at the situation not only through our own eyes, but through the eyes of others. Imagine the situation from different altitudes, depending on how the parties involved would evaluate it. It is only by considering different perceptions that we can keep a reflective state of mind instead of acting impulsively. INSEAD Executive Master in Change professors use the metaphor of standing ringside at a boxing match. Those on the sidelines can remain in a reflective state in a challenging situation.
Focusing on the potential of human growth
We don’t yet have a clear picture of the future of work and what skill sets will be necessary, but we can continue to learn, unlearn and learn again in this disruptive world. The pandemic has shown that we must cope with persistent change; the climate crises call for us to work within as an ecosystem. Attenborough highlights humanity’s unique attribute: “We alone are able to imagine the future.”
The coaching approach could be a very powerful tool not only to imagine the unknown future but also to design it in the most sustainable way for the whole ecosystem.
Iffet Türken is a certified coach, a board member at Kässbohrer and Vice President at ESTA Europe. She is actively involved in international associations with the aim of bridging different stakeholders, and a graduate of the INSEAD Executive Master in Consulting and Coaching for Change.